Hope for Europe – Women in Leadership Conference
October 25-28, 2017
with the 25-Years-Celebration
Colour – Energy – Joy! These attributes are describing the opening meeting of the 12th “Hope for Europe – Women in Leadership” Conference in Belgrade/Serbia on Wednesday evening, October 25, 2017.
After the welcome from the representatives of the “Hope for Europe”-Team and the “Daughters of the King”-Team, the partners for this conference, and a beautiful slide show about Serbia, participants from 24 countries came to the platform – with the flags of their countries: to show our differences, but also our unity as European women.

We were surprised with the songs and the dances of a Serbian teenager’s group, dressed in their national costumes – another warm welcome to Serbia.
Romkje Fountain, convenor of the “Hope for Europe Women in Leadership” -Team, shared about Hebrews 10:23/24: Let us hold unswervingly to the hope we profess, for He who promised is faithful and let us spur one another on to love.
In our lives and in our work, there is often disappointment. But this word from Hebrews tells us to unswervingly hope, not to loose our way, and have hope for us, as women, for our children, our families, our cities and nations. The evening was closed with worship, led by a very spirited Roma band. We were off to a good start!
Thursday morning, Amanda Jackson, Director of the World Evangelical Alliance Women’s Commission, presented us in her Bible study 12 women in the Bible, the name and story of some we are not so familiar: the five women in Moses’ life, the two midwives, Moses’ mother, his sister and Pharao’s daughter. All these women had a different role to play. Then there are the five daughters of Zelophehad in Numbers 27. The last two stories Amanda shared with us, were about the judge Deborah and Jael.
This Bible Study, and also the one on the next day, was followed by the much appreciated group discussions at the tables.
One of the most encouraging agenda points are always the “Hope Reports” from around Europe (“Seeds of Hope”). We listened to the stories of 16 different women, involved in just as many different ministries, some in combating human trafficking, others involved in refugee ministries, others in prayer ministries, or in politics, and so the list goes on.
Ruth Hasselgren, Pastor from Sweden, encouraged the women to have balance between their ministry and normal daily life. Her session followed a time of prayer for each other.
The afternoon was given to workshops about several different issues:
Living as Fulfilled Singles – Women in Leadership – Christians and Politics – Mentoring – Gender Mainstreaming – Evangelism and Culture – Marriage – Women’s Role in the Church – Reaching out to our Communities with God’s Love.
In the evening Amanda Jackson and Elke Werner (Lausanne Catalyst for Women in Evangelism), shared touching stories about women around the world, and motivated the ladies to pray. Opportunity for this was given at 10 different prayer stations, set up around the room.
The Friday morning of the conference started again with a Bible Study, this time given by Lara Buchanan, Ravi Zacharias International Ministries, about the uniqueness of our Christian hope. Hope is not an absence of suffering, the Bible is clear about that, things fall apart. God has empathy with us and suffers with us. Lara also showed us, that Christianity is the only religion that offers real hope. Because of the resurrection everything changes (Hebrew 6:19).
The panel with four women, moderated by Amanda Jackson, who shared what they are doing for refugees in their particular nation, was very touching.
Friday afternoon ladies could visit the representatives of the different networks and initiatives in Europe and/or go for a prayer walk in Belgrade, a city that has known so much war in its history.
And then Friday evening: The celebration of the 25 years of “Hope for Europe – Women in Leadership”. 1992 Elisabeth Mittelstaedt had called 40 women from both East and Western Europe together in Linz/Austria, to encourage each other and to learn from each other. Since then 11 conferences have been held in different countries in Europe. It was fitting that Elizabeth would share this evening about her passion to encourage and equip women.
And of course there was a Birthday Cake! And the well known Happy Birthday-Song, sang by the Serbian “Four Ladies Conference Band”! These young ladies always led our praise and worship-times excellently, using their voices and instruments (violine, cello, keyboard) sensitively to the glory of God.
With much thankfulness we finished the conference, being part of the Serbian “Daughters of the King” Day on Saturday. Women from all over Serbia came to hear Sara Vitakic and Jelena Sivulka, as well as Elisabeth Mittelstaedt. Local pastors were greeting the 250 ladies at the beginning of the meeting. Testimonies and presentations were given and a young worship-team was serving us in praising God – who is the giver of all Hope and Future for everyone of his daughters!
The two responsible teams:
Romkje Fountain, Hannelore Illgen, Amanda Jackson, Ksenija Sabo, Anja Slabbekoorn, Elke Werner – the team “Hope for Europe – Women in Leadership”
Gordana Savic, Vesna Nikolic, Sara Vitakic, Selma Zecevic – the team “Daughters of the King”

Here you can watch the following messages:
Amanda Jackson
Ruth Hasselgren
Elisabeth Mittelstaedt
Sara Vitakic
Enjoy here a slide show of the conference and the “Daughters of the King” Day on Saturday!
[1]
For Na3CrRe, a DFT-relaxed cell (PBE, Alexandria) gives the simulated powder XRD pattern in this record (Cu Kα, 1.54184 Å).

Top 8 peaks for 2θ from 15° to 90°, by angle:
2theta, I/Imax
15.93, 25
22.60, 100
27.77, 36
32.17, 44
39.67, 46
46.14, 32
51.97, 21
62.45, 24

Structural model:
```
data_Na3CrRe
_space_group_name_H-M_alt 'P m -3 m'
_space_group_IT_number 221
_space_group_name_Hall '-P 4 2 3'
_cell_length_a 5.565
_cell_length_b 5.565
_cell_length_c 5.565
_cell_angle_alpha 90.00
_cell_angle_beta 90.00
_cell_angle_gamma 90.00
loop_
_atom_site_label
_atom_site_fract_x
_atom_site_fract_y
_atom_site_fract_z
Na1 0.000 0.000 0.500
Cr1 0.000 0.000 0.000
Re1 0.500 0.500 0.500
```


[2]
For Na2CrS4, a DFT-relaxed cell (PBE, Alexandria) gives the simulated powder XRD pattern in this record (Cu Kα, 1.54184 Å).

Top 8 peaks for 2θ from 15° to 90°, by angle:
2theta, I/Imax
15.33, 54
17.81, 64
18.89, 100
25.16, 42
27.47, 40
30.95, 58
36.26, 70
39.77, 34

Structural model:
```
data_Na2CrS4
_space_group_name_H-M_alt 'P n m a'
_space_group_IT_number 62
_cell_length_a 8.072
_cell_length_b 6.494
_cell_length_c 12.662
_cell_angle_alpha 90.00
_cell_angle_beta 90.00
_cell_angle_gamma 90.00
loop_
_space_group_symop_operation_xyz
'x,y,z'
'-x,-y,-z'
'-x+1/2,-y,z+1/2'
'x+1/2,y,-z+1/2'
'x+1/2,-y+1/2,-z+1/2'
'-x+1/2,y+1/2,z+1/2'
'-x,y+1/2,-z'
'x,-y+1/2,z'
loop_
_atom_site_label
_atom_site_fract_x
_atom_site_fract_y
_atom_site_fract_z
Na1 0.020 0.250 0.141
Na2 0.106 0.250 0.631
Cr1 0.211 0.250 0.891
S1 0.043 0.750 0.083
S2 0.153 0.750 0.532
S3 0.223 0.004 0.300
```


[3]
For NaCr2S4, a DFT-relaxed cell (PBE, Alexandria) gives the simulated powder XRD pattern in this record (Cu Kα, 1.54184 Å).

Top 8 peaks for 2θ from 15° to 90°, by angle:
2theta, I/Imax
32.65, 81
33.19, 39
39.93, 100
40.49, 47
50.31, 41
52.80, 21
53.66, 40
62.47, 29

Structural model:
```
data_NaCr2S4
_space_group_name_H-M_alt 'P 1 2/m 1'
_space_group_IT_number 10
_cell_length_a 5.889
_cell_length_b 3.468
_cell_length_c 6.867
_cell_angle_alpha 90.00
_cell_angle_beta 90.38
_cell_angle_gamma 90.00
loop_
_space_group_symop_operation_xyz
'x,y,z'
'-x,-y,-z'
'-x,y,-z'
'x,-y,z'
loop_
_atom_site_label
_atom_site_fract_x
_atom_site_fract_y
_atom_site_fract_z
Na1 0.000 0.000 0.000
Cr1 0.000 0.000 0.500
Cr2 0.500 0.500 0.500
S1 0.163 0.500 0.306
S2 0.338 0.000 0.692
```


[4]
For Na2Cr3S6, a DFT-relaxed cell (PBE, Alexandria) gives the simulated powder XRD pattern in this record (Cu Kα, 1.54184 Å).

Top 8 peaks for 2θ from 15° to 90°, by angle:
2theta, I/Imax
34.61, 100
34.72, 50
43.42, 21
46.79, 14
47.19, 28
52.38, 30
52.58, 15
64.56, 14

Structural model:
```
data_Na2Cr3S6
_space_group_name_H-M_alt 'C 1 2/m 1'
_space_group_IT_number 12
_cell_length_a 6.059
_cell_length_b 10.443
_cell_length_c 6.976
_cell_angle_alpha 90.00
_cell_angle_beta 106.32
_cell_angle_gamma 90.00
loop_
_space_group_symop_operation_xyz
'x,y,z'
'-x,-y,-z'
'-x,y,-z'
'x,-y,z'
'x+1/2,y+1/2,z'
'-x+1/2,-y+1/2,-z'
'-x+1/2,y+1/2,-z'
# Back to the entry
You may also find others pictures on our Facebook-page.